Rubbing One Out - Susan Mac Nicol Page 0,21

he stood in front of the mirror—a full-length one he’d conjured up—and contemplated his appearance with glee.

“Wicked. No one’s going to ignore me in this. Whoever you are coming over to see Ben—eat your heart out.”


Ben slumped in his armchair, wondering what Dae was doing in his room. He felt bad about forcing his houseguest to make himself scarce, but it was probably the right thing to do. There was no way he could let Hemingway even get a whiff of anything special about Dae. His best friend’s bullshit barometer was strong with the force, and he’d pick up the smell from far away.

Ben glanced at his watch. Hemmy would be here any minute, being the punctual person he was. It was usually Ben who turned up late to everything. He stood up and walked over to the kitchen, checking that the oven was on low, so the Chinese food could be warmed up. He bet it would be cold by now given the weather outside.

There was a loud blow to the door and a yell. “I come bearing gifts. Let me in.”

Ben grinned and pulled the door open. Hemmy stood there, windswept and wet, his puffy parka stuffed unevenly with cardboard boxes. In his right hand, he held a six-pack of beer. In his left was the promised pistachio ice cream.

Ben stepped back to let him in. “Hurry up. You’re letting the rain in.”

Hemmy bumbled in, and Ben shut the door quickly. “Get your jacket off, and I’ll warm the food in the oven for a minute.” He took the beers and the ice cream Hemmy thrust at him and walked into the kitchen. Tess gave a pleased woof and came over for her head to be scratched.

Behind him, his friend heaved a sigh of relief as he took out the food under his jacket. Ben was a little put off seeing his cherished kung pao chicken being plucked from under Hemmy’s armpit as he removed his jacket and shoes.

“It shouldn’t be too cold given I have been heating it with my body warmth,” Hemmy announced. “Take that look off your face. I showered before I came here, and the food is in a sealed box. I bought enough for three of us.”

“Still,” Ben grumbled as he took the items offered and placed them on the top shelf of the oven. “It’s an armpit, Hem. Probably gonna smell of sweat now.”

Hemmy smiled widely. “Additional fragrance,” he chuckled. “If you think anyone could sweat in that weather out there, you are very much mistaken.” He looked around as he took a beer from the six-pack and sauntered over to the couch. “Where’s your mystery guest?”

Ben shrugged as he closed the oven and turned to his friend. “Feeling a bit under the weather,” he said, guilt washing over him. “He’s asleep, I think.”

# Unrelated to this piece: materials data
+++
# 1
The following is a DFT calculation (PBE-GGA) of a relaxed Na2MgGaPS2O12 crystal.

Cell: 8.7001 8.7001 21.9896 Å, 90.56 90.56 60.20°
Sites, in units of the cell vectors:
1 Na 0.0007 0.9993 0.5000
2 Na 0.0031 0.6433 0.2496
3 Na 0.0348 0.6753 0.5799
4 Na 0.3259 0.3480 0.1666
5 Na 0.3413 0.9793 0.9126
6 Na 0.3480 0.3259 0.6666
7 Na 0.6433 0.0031 0.7496
8 Na 0.6614 0.6773 0.3335
9 Na 0.6753 0.0348 0.0799
10 Na 0.6773 0.6614 0.8335
11 Na 0.9793 0.3413 0.4126
12 Na 0.9993 0.0007 0.0000
13 Mg 0.0025 0.0082 0.8538
14 Mg 0.0082 0.0025 0.3538
15 Mg 0.3362 0.3500 0.0209
16 Mg 0.3500 0.3362 0.5209
17 Mg 0.6654 0.6818 0.6873
18 Mg 0.6818 0.6654 0.1873
19 Ga 0.0082 0.0157 0.6528
20 Ga 0.0157 0.0082 0.1528
21 Ga 0.3317 0.3391 0.3197
22 Ga 0.3391 0.3317 0.8197
23 Ga 0.6791 0.6890 0.4862
24 Ga 0.6890 0.6791 0.9862
25 P 0.0116 0.2959 0.2550
26 P 0.0439 0.6377 0.4211
27 P 0.2959 0.0116 0.7550
28 P 0.6377 0.0439 0.9211
29 P 0.6786 0.9738 0.5901
30 P 0.9738 0.6786 0.0901
31 S 0.0179 0.7051 0.7513
32 S 0.0426 0.3484 0.9194
33 S 0.3034 0.7121 0.2528
34 S 0.3471 0.6282 0.9184
35 S 0.3484 0.0426 0.4194
36 S 0.3782 0.9634 0.0848
37 S 0.3835 0.6786 0.5844
38 S 0.6282 0.3471 0.4184
39 S 0.6786 0.3835 0.0844
40 S 0.7051 0.0179 0.2513
41 S 0.7121 0.3034 0.7528
42 S 0.9634 0.3782 0.5848
43 O 0.0202 0.8213 0.4130
44 O 0.0276 0.1868 0.9130
45 O 0.0381 0.1795 0.1972
46 O 0.0419 0.7816 0.6935
47 O 0.1184 0.3798 0.8631
48 O 0.1268 0.5155 0.3628
49 O 0.1405 0.3635 0.5802
50 O 0.1500 0.5472 0.4781
51 O 0.1547 0.3227 0.9725
52 O 0.1553 0.5188 0.0800
53 O 0.1795 0.0381 0.6972
54 O 0.1806 0.5301 0.7588
55 O 0.1815 0.3195 0.2571
56 O 0.1857 0.7890 0.1976
57 O 0.1868 0.0276 0.4130
58 O 0.1930 0.8105 0.9129
59 O 0.1988 0.9836 0.0898
60 O 0.2021 0.8405 0.5878
61 O 0.2117 0.9954 0.8129
62 O 0.2195 0.8176 0.3070
63 O 0.3193 0.5322 0.2577
64 O 0.3195 0.1815 0.7571
65 O 0.3227 0.1547 0.4725
66 O 0.3229 0.5476 0.9722
67 O 0.3540 0.5248 0.5790
68 O 0.3635 0.1405 0.0802
69 O 0.3681 0.5220 0.8619
70 O 0.3798 0.1184 0.3631
71 O 0.4538 0.8607 0.0265
72 O 0.4684 0.6991 0.5284
73 O 0.4777 0.6951 0.2445
74 O 0.4840 0.8515 0.7486
75 O 0.4874 0.6560 0.6389
76 O 0.4929 0.8734 0.1367
77 O 0.5061 0.8621 0.4251
78 O 0.5095 0.6472 0.9227
79 O 0.5155 0.1268 0.8628
80 O 0.5188 0.1553 0.5800
81 O 0.5220 0.3681 0.3619
82 O 0.5248 0.3540 0.0790
83 O 0.5301 0.1806 0.2588
84 O 0.5322 0.3193 0.7577
85 O 0.5472 0.1500 0.9781
86 O 0.5476 0.3229 0.4722
87 O 0.6472 0.5095 0.4227
88 O 0.6470 0.8566 0.9242
89 O 0.6560 0.4874 0.1389
90 O 0.6598 0.8881 0.6471
91 O 0.6819 0.8605 0.2461
92 O 0.6951 0.4777 0.7445
93 O 0.6991 0.4684 0.0284
94 O 0.7225 0.8445 0.5336
95 O 0.7816 0.0419 0.1935
96 O 0.7890 0.1857 0.6976
97 O 0.8105 0.1930 0.4129
98 O 0.8176 0.2195 0.8070
99 O 0.8213 0.0202 0.9130
100 O 0.8260 0.9844 0.3028
101 O 0.8405 0.2021 0.0878
102 O 0.8445 0.7225 0.0336
103 O 0.8515 0.4840 0.2486
104 O 0.8566 0.6470 0.4242
105 O 0.8565 0.9828 0.5943
106 O 0.8605 0.6819 0.7461
107 O 0.8607 0.4538 0.5265
+++

He took himself and his beer over to his armchair and sat down. Hemmy followed, making himself comfortable on the couch and bringing his long legs up to perch on the armrest. His socks were holey and mismatched, one blue, one a bright green.

“That’s a pity,” his friend countered as he took a swig of his beer. “I was looking forward to meeting him.”

“And meet him you shall,” a soft, Scots-accented voice said.

Ben swung around to the source of the voice and his jaw dropped. Holy hotness. The man looked wicked.

Dae was dressed in a pair of white jeans, which moulded to his long legs. Topped with a white polo-neck, and teamed with a casual waffled dove-grey waistcoat, loosely buttoned at the front, he looked like a GQ model.

In fact…Ben frowned. I think I’ve seen that outfit in my GQ magazine. I remember because it was pretty sexy.

Dae strode forward and held out a hand. “Daniel MacLeod of the clan MacLeod. Lovely to meet you.”

Ben closed his eyes in mortification. Oh hell. Dae had gotten his inspiration from watching Highlander. He hoped Hemmy hadn’t picked up on that little nugget.

Hemmy stood up with a grin and shook Dae’s hand. “I thought you were feeling ill, glad to see you feel better. Yeah, Ben here told me you were visiting from Scotland. Great to meet more of this bloke’s family at last. I only know his dad. Malcolm is such a hoot. I love the old guy.”

Dae blinked, looking intrigued. “Oh, does he live around here too, then?”

Ben nodded quickly. “He stays a village over, I see him fairly often. He’s retired now.”

Hemmy chuckled. “It took a while for Ben Copyright 2016 - 2024